Chico Mazzoni
Chico Mazzoni, Bahiano from Salvador, born in 1954, studies in the best high schools of Bahia, and has his first of oil paintings exhibited at the Portuguese Center of Reading in Salvador at the age of 13, in an intercollegiate collective exhibit.
As an architecture student, he continues to work in fine arts and to exhibit his works, concentrating his artistic activity on the conception and elaboration of scenography for Bahian theatre. During this period, he gradually abandons oil painting and embraces sketching on paper, among his more varied techniques, giving preference to pastels in lieu of oils.
In 1978 he wins a scholarship and travels to Italy to do a Masters’ Program in Monument Restoration at the University of Naples. During his post graduate studies, he participates in a collective exhibit in Florence and at an art Biennial in Naples, where he lives and studies for two years. He makes the most of the opportunity to visit Europe’s main museums and art exhibits while perfecting his design technique.
He returns to Brazil in the beginning of the 1980’s and continues to work in various sectors of art creation, giving priority to sketching on paper and scenography. The scenario of the opera “La traviata” is in this period at the Castro Alves Theatre, as is the proposal “Caras Cores” (“Dear Colors”) for the Carnaval Decoration of the City contest (elaborated with a partner).
He had his first individual exhibit – called CHICO MAZZONI- SKETCHES – at the Alliance Française Gallery of Salvador in 1983. From this point on, he works professionally with sketches and paintings, regularly exhibiting his work in collective shows and galleries in Salvador and other cities, such as São Paulo and Vienna.
In 1984, still not abandoning sketching, he inaugurates his phase of acrylic paint on paper and cardboard in the exposition “IMAGINÁLIA”, which deals in an aggressive manner with archetypical and quotidian images. These same themes are broached in an even more radical manner in the exposition “ARTE-DE-COR” (“ART OF COLOR”) in 1985, where he attempts to explore the maximum potential of color, his main character in acrylic painting. His next exposition, “CENA & ÓTICA” (“SCENE AND OPTICS”) of 1987, follows the same line of acrylic painting on cardboard, though now using random art themes from scenic arts to maximize his language.
Missing sketching, he returns to it in the end of the 80’s and puts on the exposition “DEZENHO” (“The ZEN in Sketching”), at the Bahia Art Museum. Here he searches for the essential in the stroke, in simplified forms, that is, he searches for the ZEN in art. In 1990 he puts on the exposition “PAR OU ÍMPAR” (“ODD OR EVEN”) at the Brazil-Germany Cultural Institute (ICBA). Here he works with the idea of the complementary, the yin/yang, in a “gestalt-like” search for images, from which the living relationship between sketching and painting reveals itself. This exposition marks the beginning of the fusion of figure and background, which makes images less defined. This characteristic will affirm itself in his following exhibits.
Along this trajectory he alternates his artistic activities of architecture, restorer, scenographer and designer.
Between the end of the 80’s and the beginning of the 90’s, he projects and constructs his own atelier, where he definitively established himself with the necessary space for his multiple activities.
In this period he is invited to teach a Specialization Course in Restoration in the School of Architecture at the Federal University of Bahia (UFBA), a biennial course offered to students from Portuguese and Spanish speaking countries. The next period is one of withdrawal, and the preparation to return to oil on canvas, which comes about in the exposition “POR ESTA LUZ QUE ME ALUMIA” (“For This Light that Enlightens Me”) in 1995, at Diagrama. Here he expands his formats and pursues light as the greatest objective of his painting, in diffuse images that tend to mono-chromatist and confirm the search for fusion of figure and background. The availability of a larger space provided by the new atelier enables him to progressively amplify the format of his paintings.
In 1996 he becomes a university professor at the School of Architecture where he worked for three years. In 2000, he obtained a full professorship at the University of Salvador (UNIFACS) and teaches FINE ARTS in relation to Architecture.
In 1997, he puts on a big exposition called ”ESTAÇÃO DA LUZ” at the Museum of Sacred Arts of Bahia. Here his search for light in painting radicalizes onto canvases in large formats.
In order to keep himself up to date on contemporary art production, Chico has travelled frequently along these years to visit museums, exhibits and Biennial expositions.
As a scenographer, Chico has taken his work to other Brazilian capitals. As a sketch artist and painter, he owns works acquired by Brazilian and foreign collectors.
In the month of May of 2000, he puts on his biggest individual exposition called “Milênios no ar” (“MILLENIUMS IN THE AIR”) in the Bahia Design Center (Trapiche Adelaide), Salvador/Bahia. The exposition is a reference to the diverse myths of human history utilized as thematic support for his present aesthetic research that, though treating light as a protagonist in the scenes, explores much more the nuances of this light through transparencies, veiled images, camouflage, divergences and superposition.
The MASTER OF BAHIAN PAINTING project included Chico in a collage of clips with 25 Bahian artists in commemoration of 500 years of Brazil’s Discovery. It was aired by TV BAHIA (Globo Network) in 2000 and 2001.
Chico was selected with two other Bahian artists to compose the 6th edition of Southward Art – Latin American Art Review, (Dec.-Feb. 2002 ) in the feature report “Chico Mazzoni : Contemporary Figuration”, authored by Matilde Matos.
Celebrating 20 years of career in 2003, he puts on the exposition “BRASILIANA” reflecting and reinterpreting Brazilian identities in a set of 20 paintings which synthesize all of his accumulated learning on the languages of art. BRASILIANA received great public and critical acclaim, and part of it was shown again as a special exhibit at a series of events of the Cultural Market at the end of the year. The group of paintings represented the “caboclos (negro descendents) of the Bahian 2nd of July”, pertaining to the BRASILIANA series, are incorporated to the Southward Art Collection in Buenos Aires, Argentina.
Since then, he has participated in collective exhibits and other events linked to art and culture.
Solo Exhibitions
- 1983 CHICO MAZZONI - DESENHOS - Aliança Francesa, Salvador/Ba.
- CHICO MAZZONI -DESENHOS - Galeria do CCCP, Itabuna / Ba.
- 1984 IMAGINÁLIA - Hotel Meridien, Salvador/Ba.
- 1985 ARTE-DE-COR - Forma, Salvador/Ba.
- 1987 CENA & ÓTICA - Forma, Salvador/Ba.
- 1988 DeZENho - Museu de Arte da Bahia, Salvador/Ba.
- FOTOGRAMA - Centro Cultural 18 do Paschoal, Salvador/Ba.
- 1990 PAR OU ÍMPAR -Instituto Goethe da Bahia / ICBA, Salvador/Ba
- 1992 CHICO MAZZONI - Centro Cultural África, Vera Cruz/Ba.
- 1995 POR ESTA LUZ QUE ME ALUMIA - Diagrama, Salvador/Ba.
- 1997 ESTAÇÃO DA LUZ -Museu de Arte Sacra, Ba.
- 2000 MILÊNIOS NO AR - Bahia Design Center, Salvador/Ba.
- 2003 BRASILIANA - EBEC Galeria de Arte, Salvador/Ba.
- 2006 POP-UP - EBEC Galeria de Arte, Salvador/Ba.
- 2008 VINTE E CINCO - Art Factory - Cons da Holanda, Salvador/Ba.
- 2010 CIDADES INVISÍVEIS- Centro Cultural Correios, Salvador/Ba.
- 2014 TRAMAS SINCERAS - Palacete das Artes, Salvador/Ba.
Collective exhibits
- 1972 CLOSE Galeria de Arte, Salvador/Ba.
- 1979 2ª BIENNALE D’ARTE SANTA CHIARA - Mon. di Sta Chiara, Nápolis, ITÁLIA.
- 1980 TEMPO - 5 Brasiliani Si Incontrano - Casa dello Studente, Firenze, ITÁLIA.
- 1984 Hotel Galeão Sacramento, Vera Cruz, Bahia, BRASIL.
- DA ARTE DOS JOGOS - Spazio Pirandello, São Paulo, São Paulo.
- IV Salão Brasileiro de Arte - Fundação Mokiti Okada, São Paulo.
- 1987 GRAFIK AUS BRASILIEN - Hum Movement, Kleine Gallery, Viena, ÁUSTRIA.
- 1988 PROJETO VERÃO - MAM Museu de Arte Moderna - Salvador/Ba.
- 1989 CAMISETAS ASSINADAS - Galeria O Cavalete - Salvador/Ba.
- 1993 Expos Beneficente Instituto dos Cegos da Bahia - Solar do Ferrão e Shopping da Barra.
- 1994 VISÕES DA SEXUALIDADE - Fund Gregório de Matos, Salvador/Ba.
- 1995 ARTE no BARRA - Fund Gregório de Matos, Shopping da Barra Salvador/Ba.
- PERSIANAS ASSINADAS - Shopping Barra, Salvador, Ba. Aracaju/Se.
- 1998 FEIRA DA MÚSICA - Cent de Convenções Bahia - Salvador/Ba.
- 1999 IYAMÍ EWON PUPÓ - Hom. À yemanjjá - Pós-Tudo Rest. - Salvador/Ba.
- 100 ARTISTAS PLÁSTICOS DA BAHIA-Museu de Arte Sacra-Salvador/Ba.
- 1ª EXPO LEILÃO DE ARTE GACC - Museu de Arte Moderna Salvador/Ba.
- 2000 2ª EXPOSIÇÃO LEILÃO DE ARTE GACC-C.Cultural da Caixa - Salvador/Ba.
- COLETIVA do FAROL - Museu Náutico da Bahia- Salvador/Ba.
- 2001 MESTRES DA ARTE BAIANA - Museu Náutico da Bahia - Salvador/Ba.
- 14 ARTISTAS - Mundo Arte & Eventos Galeria - Salvador/Ba.
- RADIO BAZAR - Forte da Jiquitaia - Salvador/Ba.
- 500 ANOS DA B.DE TODOS OS SANTOS - Fund Gregório de Matos/Ba.
- PINTURA EM GESTOS DE PAZ - C. Cultural da Caixa - Salvador/Ba.
- 2002 ARTE NO PEITO - Mundo Arte & Eventos Galeria - Salvador/Ba.
- Galeria Mercado das Artes - Salvador/Ba.
• Inserted here: materials data:
+++
Entry from the Materials Project database: crystalline CdI2 at its relaxed geometry (PBE).

Computed properties:
Formation enthalpy at 0 K   -0.8384 eV per atom

```
data_CdI2
_chemical_formula_sum 'Cd10 I20'
_cell_length_a 4.3321
_cell_length_b 4.3321
_cell_length_c 74.7144
_cell_angle_alpha 90.00
_cell_angle_beta 90.00
_cell_angle_gamma 120.00
_space_group_name_H-M_alt 'P 3 m 1'
_space_group_IT_number 156
loop_
_space_group_symop_operation_xyz
'x,y,z'
'-y,x-y,z'
'-x+y,-x,z'
'-y,-x,z'
'-x+y,y,z'
'x,x-y,z'
loop_
_atom_site_label
_atom_site_type_symbol
_atom_site_fract_x
_atom_site_fract_y
_atom_site_fract_z
_atom_site_occupancy
Cd1 Cd 0.0000 0.0000 0.0000 1
Cd2 Cd 0.0000 0.0000 0.1000 1
Cd3 Cd 0.0000 0.0000 0.2000 1
Cd4 Cd 0.0000 0.0000 0.3000 1
Cd5 Cd 0.0000 0.0000 0.4000 1
Cd6 Cd 0.0000 0.0000 0.5000 1
Cd7 Cd 0.0000 0.0000 0.7000 1
Cd8 Cd 0.0000 0.0000 0.8000 1
Cd9 Cd 0.6667 0.3333 0.6000 1
Cd10 Cd 0.6667 0.3333 0.9000 1
I1 I 0.0000 0.0000 0.5769 1
I2 I 0.0000 0.0000 0.8769 1
I3 I 0.3333 0.6667 0.0231 1
I4 I 0.3333 0.6667 0.1231 1
I5 I 0.3333 0.6667 0.2231 1
I6 I 0.3333 0.6667 0.3231 1
I7 I 0.3333 0.6667 0.4231 1
I8 I 0.3333 0.6667 0.5231 1
I9 I 0.3333 0.6667 0.6231 1
I10 I 0.3333 0.6667 0.7231 1
I11 I 0.3333 0.6667 0.8231 1
I12 I 0.3333 0.6667 0.9231 1
I13 I 0.6667 0.3333 0.0769 1
I14 I 0.6667 0.3333 0.1769 1
I15 I 0.6667 0.3333 0.2769 1
I16 I 0.6667 0.3333 0.3769 1
I17 I 0.6667 0.3333 0.4769 1
I18 I 0.6667 0.3333 0.6769 1
I19 I 0.6667 0.3333 0.7769 1
I20 I 0.6667 0.3333 0.9769 1
```

---

Entry from the Materials Project database: crystalline CdI2 at its relaxed geometry (PBE).

Computed properties:
Formation enthalpy at 0 K   -0.8373 eV per atom

```
data_CdI2
_chemical_formula_sum 'Cd11 I22'
_cell_length_a 4.3448
_cell_length_b 4.3448
_cell_length_c 80.9452
_cell_angle_alpha 90.00
_cell_angle_beta 90.00
_cell_angle_gamma 120.00
_space_group_name_H-M_alt 'P 3 m 1'
_space_group_IT_number 156
loop_
_space_group_symop_operation_xyz
'x,y,z'
'-y,x-y,z'
'-x+y,-x,z'
'-y,-x,z'
'-x+y,y,z'
'x,x-y,z'
loop_
_atom_site_label
_atom_site_type_symbol
_atom_site_fract_x
_atom_site_fract_y
_atom_site_fract_z
_atom_site_occupancy
Cd1 Cd 0.0000 0.0000 0.0000 1
Cd2 Cd 0.0000 0.0000 0.0909 1
Cd3 Cd 0.0000 0.0000 0.2727 1
Cd4 Cd 0.0000 0.0000 0.4546 1
Cd5 Cd 0.0000 0.0000 0.6364 1
Cd6 Cd 0.0000 0.0000 0.8182 1
Cd7 Cd 0.3333 0.6667 0.3637 1
Cd8 Cd 0.3333 0.6667 0.5455 1
Cd9 Cd 0.3333 0.6667 0.7273 1
Cd10 Cd 0.3333 0.6667 0.9091 1
Cd11 Cd 0.6667 0.3333 0.1819 1
I1 I 0.0000 0.0000 0.1605 1
I2 I 0.0000 0.0000 0.3850 1
I3 I 0.0000 0.0000 0.5668 1
I4 I 0.0000 0.0000 0.7487 1
I5 I 0.0000 0.0000 0.9305 1
I6 I 0.3333 0.6667 0.0214 1
I7 I 0.3333 0.6667 0.1123 1
I8 I 0.3333 0.6667 0.2032 1
I9 I 0.3333 0.6667 0.2941 1
I10 I 0.3333 0.6667 0.4760 1
I11 I 0.3333 0.6667 0.6578 1
I12 I 0.3333 0.6667 0.8396 1
I13 I 0.6667 0.3333 0.0695 1
I14 I 0.6667 0.3333 0.2513 1
I15 I 0.6667 0.3333 0.3423 1
I16 I 0.6667 0.3333 0.4332 1
I17 I 0.6667 0.3333 0.5241 1
I18 I 0.6667 0.3333 0.6150 1
+++
- 2003 HOMENAGEM A CARYBÉ - EBEC Galeria Salvador/Ba.
- MERCADO CULTURAL 2003 - Cultural da Caixa- Salvador/Ba.
- ART FOR SALE 2003 - GALERIA ACBEU - Salvador/Ba.
- ARTE CONTRA A FOME I 2003 - EBEC Galeria de Arte - Salvador/Ba.
- 2004 MATILDE - homenagem à crítica - EBEC Galeria de Arte - Salvador/Ba.
- EXPOSIÇÃO COLETIVA - Galeria da Aliança Francesa - Salvador/Ba.
- FEIRA HYPE 2004 - Associação Atlética da Bahia - Salvador/Ba.
- ARTE CONTRA A FOME II 2004 - EBEC Galeria de Arte - Salvador/Ba.
- 2005 ACERVO TRIBUNA DA BAHIA - Espaço Cultural do Ateliê - Salvador/Ba.
- 2006 BEL BORBA E CHICO MAZZONI - Banho Design - Salvador/Ba.
- 2007 COMEMORAÇÕES - 80 anos de Matilde Matos- EBECGaleriia Salvador/Ba.
- CIRCUITO DAS ARTES - Pal da Aclamação - Salvador/Ba.
- ARTISTAS ARQUITETOS - Prova do Artista Galeria de Arte - Salvador/Ba.
- 2008 SOLIDARIEDADE - Homenagem a Chico Diabo - EBEC Galeria Salvador/Ba.
- GRANDES ARTISTAS EM PEQUENOS FORMATOS - Museu Regional de Arte - Universidade de Feira de Santana, Bahia.
- 2009 CIRCUITO DAS ARTES - Galeria do Palacete das Artes - Salvador/Ba.
- ARQUITETOS ARTISTAS -Arquitetura - Museu de arte Sacra - Salvador/Ba.
- 2010 CIRCUITO DAS ARTES - Galeria do Palacete das Artes - Salvador/Ba.
- 2011 ARQUITETOS ARTISTAS - Museu Regional de Arte - Universidade de Feira de Santana, Bahia.
- EXPOSIÇÃO SANT’ANA - Leilão de Parede - Para as obras de restauração da Igraja de Sant’Ana, Museu de arte Da Bahia, Salvador/Ba.
- 2012 CIRCUITO DAS ARTES - Museu de Arte da Bahia - Salvador/Ba.
- ÁGUAS - REFLEXOS NA ARTE DA BAHIA - Com lançamento de livro com o mesmo título, assinado por Matilde Matos Ministério da Cultura, CETREL e Caramurê Publicação EBEC Galeria de Arte - Salvador/Ba.
- 2013 50 ANOS DE ARTE NA BAHIA - Com re-lançamento de livro com o mesmo título, assinado por Matilde, Caramurê Publicação. Projeto Caixa Cultural Salvador - Salvador/Ba.
- THE CATTPARADE - Mostra de escuturas pintadas por artistas brasileiros. Paulo Darzé Galeria de Arte e Pestana Bahia Hotel. Salvador/Ba.